(2009/07) July 2009 MTBs

i drink tonnes of water but doesn't really see much improvement. ya... agree with you. will bf till the well totally dry up. initially was a bit upset that cannot meet my target to tbf 6mths. but never mind lah. got bm better than none. since #1 bf him till 8mths, i shall perserve n not short change Amanda

seems like K's prob is more of a reflux issue rather than milk powder prob. Amanda was also like him in her earlier months. now slightly better. will get better as they grow. I spoke to Abbott's person just now. they told me they are discontinuing the old version and has no intention to stop the new ones. she told me the difference is in the new version they added one more nutrient... got fibre (probiotics if i didn't remmeber wrongly).

when u let her have a rest after the first half, do u still warm up the remaining milk or let her drink the not warm milk?
Been missing alot on the thread cos too busy and stress taking care of #1 who kanna HFMD...I tell you strike 4D also not so "lucky"...the more I afraid she will get, the more she kanna...it's been so stressful cos she is so cranky and cannot eat or drink cos so painful and fever was raging to abt 39.6....was so worried my #2 will get it so had to separate them...so tired from running back and forth my mum's place and my own house...lucky my parents and hubby have been very supportive and helpful to help me take care of my very whiney and cranky #1 while I took care of #2...thank goodness all is sunny day again...

Becos of this whole episode my supply also drop tremendously now really dunno how long my factory can last....told myself if can last 6 mths very good already
But like what Sunsweet says, even if 1 oz left I will also give her
ah? so Abbott is gng to discontinue the old similac? and yes kim, 1 mummy mentioned before that abbott said they are NOT discontinuing the old similac wor... can't rem who too... hMmm... *confused*
2nd month was just hepB 2nd dose, 3rd month was when I took her 1st dose of 5in1 and rota, so now 4th month she's taking her 2nd dose of 5in1 and rota, 5th month/next month is the last dose of the 5in1 and rota, 6th month 3rd dose of the hepB.
Yah, I also do occasionally toy with the idea of stop bf cos troublesome and ss dropping. Everyday carry heavy pump, ice pack, milk here and there Especially these few days on course and no nursing room in the training area. But decided that I'm fortunate enough to have quite good supply, so shouldn't short change my girl...

Sunsweet, poohbear, Jia you =p
Saw the below in the June thread

forgot which nice mummy posted the below:

friso : http://www.friso.com.sg/
(their website is under construction so you will have to call them and ask for samples). alternatively, you can email them [email protected].

enfa : https://sg.meadjohnsonasia.com/main.cfm/country/Singapore
(you can sign up FOC as a member and choose which sample you want them to send to you.)

dumex : http://www.dumex.com.sg/
(you can sign up FOC as a member and choose which sample you want them to send to you.)

smilac : http://www.abbott.com.sg/family/freesamples/freesamples.asp
(you can sign up FOC as a member and choose which sample you want them to send to you.)

s-26 / promil : no website to get free samples from but you need to call them at Phone 65-6733-7666
and request for a free sample.

Nestle : www.nestlebaby.com.sg

Heinz : no website so need to call them at 63471700 for a free sample.

huggies : http://www.huggies.com.sg/
(you can sign up FOC as a member and choose which sample you want them to send to you.)

Goon : http://www.diapers.com.sg/help.php?section=freesample
(sign up as a member and they will send you a sample of your choice FOC)

Mamy Poko : http://www.mamypokoclub.com/frmMemberLogin.aspx?page_from=memdefaut
(sign up as a member and they will send you a sample of your choice FOC) - i tried they didnt send seems like based in msia
alternatively, you can call 6265 1648 for a sample.

fitti / petpet : 6861 9155

Drypantz / DrypersDiaper : 1800 466 3002

for pet pet/fitti => pls email to [email protected] to request

for wyeth =. jennifer @ 6830 2876 (very nice lady)
littlenotes $8.00
yan $7.50
beverly $15.50

above mummies pls transfer the money to my account DBS savings plus 033-9-063393 by this friday 2359. i will cancel your order if payment is not made by then. you may e-mail me at [email protected]
WOW! Lamagier, very resourceful!

RE: Similac & bb Spit up
Doc gave K 2 type of med, for vomiting and for reflux. The Vomiting one din really work, but the reflux seem to, but since he said to "hold" the reflux (med for the time being, I secretly gave once), I only gave him once.. Think I better give him.
Ya, I follow Gina's was to separate the portion, so I think I will give FM, reflux med, play with him then give FM. But only thing about my son is, he is greedy, he wants to fin everything 1 go.. when I took bottle out for burping half way thru the feed, he will give the ehgn ehgn ehgn (like wanna ps) "complaining" noise..
Re doing biz together
agree with mashy, everything must state clearly in the beginning to avoid dispute in future. for capital, can get loan from bank (with good biz plan) or get more sleeping partner lor :p
Javier's like Joie!.. keep pulling out pacifier yet wans sth in the mouth..give him the teether to bite but he doesnt seem to like it..n if gif pacifier he will push it to the side n chew on the pacifier..den until i bought this pacifier type teether for him..den he managed to bite for awhile n will smile wen i gif it to him.. so maybe u wanna try since Joie takes pacifier too?..=)

hmmm.. i agree if many are goin got join in.. its gonna b a quite a headache if anything happens.. maybe jus limit to certain amt of ppl like wad gina suggested..

Javier likes to finish his milk at one go too.. n oso he will vomit out if i shud burp him.. so for some time alrdy..i haven been burping him.. cos i notice wen he finishes his milk i put him lying dwn.. or cont to carry him in my arms or place him in rocker.. he will nt vomit out.. n until maybe at least 15 mins aft den i carry him up.. he will burp himself.. sometimes a few burps..=) i cannot stop halfway for Jav..cos he will scream n cry...at least Kaelem n his gf (Juen) r gd.. they can stop n do sth else b4 continuing..
haha my collection of teethers just for 1 baby are growing man. I got a combi one that looks like a huge paci with sides for her to hold on to, cos she like hold on to stuff lately (lol very funny seeing her try to aim the paci back into her mouth after she takes it out). Rotating it with other teethers like those gel-filled type that can chilled or combi one that resemble cookie, just see which one suit her mood. All these still can't replace her thumbs and fingers.
Devilene, I agree with Kim tt we hv to "train" our man and let them get used to the idea tt they hv to pay for the bills if we do not work. Afterall, we also contribute to the house, ours is a 24 hrs job 7 days a week, with no rest day.

Fortunately, hubby also share the same sentiments tt its better to look after bb ourselves rather than by ILs or others. Moreover, I work p/t on wkends so he looks after Gabriel while I'm away. Its a gd bonding time for daddy and Gabriel.

Regarding big ticket items, I hv come to accept tt, cause we women buy things on impulse and usually ours are not as expensive but all small items add to together, also "big" lah...so compromise lor.. hhehee...

Just to encourage you, today I witness Gabriel doing his first flip (back to front) while he's at the playgym. I was really excited to see him achieve tt. So, that's the reward for me :)

RE: teething
So fast your bb teething, Sabsab?
My bb is also drooling much, and is making a lot of chewing motion..very funny whenver I see him "chew".

Does anyone's bb make chewing action together with tongue trust reflex? What does tt mean??? Any idea??

Can look for me to conduct children's activities or parents workshp...think Jes also in early childhood too,...is it you or someone else...arggghh..I am forgetful these days...does anyone feel tt they hv temp. memory loss????
Mashy, u recv your MLMM & Goats Rue yet? The liquid GR was so difficult to swallow, but for bb's sake gotta tahan..

Koko, exactly!! our kind of job also cannot go on MC.. That's why I still think Father's day is nonsense for some fathers I know, these men totally dun deserve..

Sam, K also likes to pluck out the paci and tries to put it back, and always ended up putting the bottom "shell" in his mouth instead of the teat.. sometimes, he even tries to shaft his hand with the paci..
i don't see anything coming out of her gum yet. is the nanny presumation as she is drooling like water from the tap.
how much did u pay for the MLMM?

I'm now taking oats every morning. Just bought the fish bone from market this morning. going to cook the papaya fish soup. hopefully my milk ss will go back to normal.
You taking Liq Goat's Rue & Liq MMP? Taste that bad? What does it taste like? I'm thinking buy motherlove products in liq form in future to save money....

yah got it. I'm still swallowing the pills form that i bought from vitakids. Haven't tried the liquid ones. That bad huh? Hope it's more potent then.
yay yay yay, its fri! see u mummies tom. i'm gg twins garage sale at clementi in the morning. afternoon go siglap for party. zippin around town. maybe we can have quit chat abt this biz thingy. got this flyer on kids party in my post box yest. that gave me an idea...
want to share cab? i'll be taking a bus either to bedok or eunos. think both should reach FOZ's place quite easily. anyone else want to meet n share?
bbethan: Sure, let me know where you want to meet. I'll PM you my contact details. What time were you thinking of meeting? I have to settle my #1 's lunch first before i leave
RE: Liquid Goat's Rue
It's bad... not that I am bad with med, it's bitter and leave a tingling sensation on tongue.. I had to use my boy's syringe, get the liquid and squirt into my throat.. Uhh.. bad..

RE: Sharing transport
Hey, take into consideration of the Cab insurance restrictions and the barang (the items you intend to place you bb in such as rocker or bumbo as no stroller is allowed in the house) you need to bring along cos not all cab can accommodate that many thing in their trunk..
so gd! tmr's the gathering but i'm not in! =(
all mummies, enjoy! =D

any mummies here taking th H1N1 vaccine?
company's subsidizing, not sure if wanna go not...
Yan & Bbethan> Wakodo milk powder dissolves easily compared to other formula milk. Nutrition wise not as good as Similac or Enfalac. Only heard babies who drink japanese formula milk are less active/wild. =)
My boy used to drink Wakodo & Enfalac, and is ok with both FM.
Re: End of year Gathering

Will the following mummies please PM me your contact details:

1) Sam
2) Muffingirl
3) bestberries
4) pprincessbaobei
5) Gillian
6) kittyng
7) ohyeah
8) Bbethan

in the following format:

Real Name / SMH Nick:
Baby name:
Baby DOB:
Contact No:
Email add:

As I need to restrict the number of ppl to my house, can the following mummies please take out 1 adult as I'm limiting it to max. 2 adults per mummy:

1) fortunemew
2) ohyeah

Crystal structures, as found in the file.
Structure and computed powder diffractogram of Mn5Cr4O12 (a structure optimized by DFT (GGA+U); Cu Kα (weighted mean of Kα1 and Kα2)).
Lines closer than 0.1° are merged.

Main lines, by intensity (2θ = 10–80°):
- 34.18°, d 2.623, I = 100, hkl -2 1 2
- 34.29°, d 2.615, I = 96, hkl 1 -1 3
- 34.76°, d 2.581, I = 68, hkl 1 3 -2
- 29.32°, d 3.047, I = 45, hkl 1 2 0
- 60.92°, d 1.521, I = 43, hkl 2 4 0
- 60.76°, d 1.524, I = 43, hkl -2 4 2
- 41.50°, d 2.176, I = 42, hkl 2 0 -4
- 54.79°, d 1.675, I = 33, hkl -3 1 4
- 54.92°, d 1.672, I = 32, hkl 2 -1 4
- 17.76°, d 4.994, I = 27, hkl 1 -1 0

Cell and atoms:
a = 6.1722 Å, b = 8.5251 Å, c = 10.5937 Å
α = 113.59°, β = 106.88°, γ = 90.19°
Space group P-1 (No. 2)
Asymmetric unit:
Mn 0.0000 0.0000 0.0000
Mn 0.0000 0.5000 0.5000
Mn 0.0843 0.4585 0.1665
Mn 0.2498 0.8745 0.5010
Mn 0.3375 0.8352 0.1697
Mn 0.4143 0.7916 0.8326
Cr 0.1655 0.1666 0.8328
Cr 0.1699 0.1662 0.3340
Cr 0.3324 0.3342 0.6665
Cr 0.5000 0.5000 0.0000
Cr 0.5000 0.5000 0.5000
O 0.0068 0.7741 0.0184
O 0.0279 0.2693 0.4996
O 0.1319 0.9275 0.8352
O 0.1437 0.9236 0.3206
O 0.1882 0.4103 0.3471
O 0.1965 0.4057 0.8335
O 0.3245 0.0673 0.1787
O 0.3311 0.5618 0.6488
O 0.3346 0.1058 0.6847
O 0.3620 0.6015 0.1664
O 0.4697 0.2619 0.5018
O 0.4766 0.2570 0.9868

* * * * *

(1)
Diffraction record for Ce3Ir. The XRD peak list is theoretical, not measured: it uses a GGA-PBE-relaxed structure and a wavelength of 1.5418 Å.
Neutral-atom scattering factors, no anomalous dispersion.

Cell and atoms:
```
Ce3Ir
1.0
7.080 0.000 0.000
0.000 9.810 0.000
0.000 0.000 6.169
Ce Ir
12 4
direct
0.034 0.250 0.145
0.171 0.057 0.653
0.171 0.443 0.653
0.329 0.557 0.153
0.329 0.943 0.153
0.466 0.750 0.645
0.534 0.250 0.355
0.671 0.057 0.847
0.671 0.443 0.847
0.829 0.557 0.347
0.829 0.943 0.347
0.966 0.750 0.855
0.124 0.750 0.411
0.376 0.250 0.911
0.624 0.750 0.089
0.876 0.250 0.589
```

Principal peaks in the range 5 to 70 degrees two-theta, in order of rising 2θ:
19.08 deg, d = 4.651 Å, I 25; 21.14 deg, d = 4.203 Å, I 22; 30.51 deg, d = 2.930 Å, I 28; 30.95 deg, d = 2.889 Å, I 30; 31.16 deg, d = 2.871 Å, I 39; 32.97 deg, d = 2.717 Å, I 100; 33.50 deg, d = 2.675 Å, I 70; 34.46 deg, d = 2.603 Å, I 85; 36.67 deg, d = 2.451 Å, I 88; 37.44 deg, d = 2.402 Å, I 45; 40.94 deg, d = 2.204 Å, I 36; 57.14 deg, d = 1.612 Å, I 33

=====

(2)
Diffraction record for LiH4SeNO4. The XRD peak list is theoretical, not measured: it uses a GGA-PBE-relaxed structure and a wavelength of 1.5418 Å.
Neutral-atom scattering factors, no anomalous dispersion.

Cell and atoms:
```
LiH4SeNO4
1.0
17.519 0.000 0.000
0.000 5.431 0.000
0.000 0.000 5.178
Li H Se N O
4 16 4 4 16
direct
0.001 0.187 0.000
0.499 0.687 0.500
0.501 0.313 0.000
0.999 0.813 0.500
0.139 0.289 0.320
0.142 0.269 0.645
0.150 0.012 0.457
0.223 0.221 0.464
0.277 0.721 0.964
0.350 0.512 0.957
0.358 0.769 0.145
0.361 0.789 0.820
0.639 0.211 0.320
0.642 0.231 0.645
0.650 0.488 0.457
0.723 0.279 0.464
0.777 0.779 0.964
0.850 0.988 0.957

Seek your cooperation to provide the details soonest and also to the 2 mummies whom had registered earlier for 3 adults to limit it to 2 as there are 48 adults + 25 babies + 3 toddlers for the gathering...
u dun accept pm wor... okies, u add me in FB den i msg u my details... they nid IC no. only right?
can add me @ [email protected]

but hor, metro having 20% storewide, can go to the mothercare @ metro paragon, better disc than the member card... hehehe...
Hi mummies,
I have one opened tin of NAN Pro.1 to give away.Just opened yesterday. Actually want to switch from NAN HA 1 to NAN Pro.1 but found he is not suitable.
Interested party, pls PM me.
Self collect at Jurong West.
Hi kim, how's the liquid goat's rue? Is it more effective? I tried the MLMMP and goat's rue together. Increase is not a lot
Think hopeless liao.

Joanne, hav pm you my contact details le
Jillian, bbethan,
if you don't mind, I can pick you up from Kembangan MRT. It's the nearest MRT to FOZ's place. 5min away only. Can PM me to arrange

anyone else need a lift too?
Added you & msg u also le!

Anyway, wun be packed de, coz now the 20% quite frequent... kekekek~ A few times i went, the crowd was alright... =D
Kitty, I m not sure if the MLMM+GR is effective, I express and is not much diff, but when K takes to the breast, he usually becomes satisfied after 1 breast.. Not sure if he is getting distracted cos he just kept looking at me and give me big smile..

Today, I decided to swaddle him and shut the night curtains, he fell asleep about 2 hrs ago, till now, and the paci did not drop out of his mouth either.. kekeke, think I am gonna cont this so he sleep well in the day.
Sorry I think I will pull out the year end gathering. Let others have the chance to join as I will joining in the tomorrow's gathering.
So sorry.
Minty mom/ Jillian
Have dropped you gals my contacts. Minty_mom, thanks for the offer. Same like Jillian, i need to settle my #1's lunch first. And hb may be bringing him out. so i can't commit on time now. Hopes to leave by noon. If i can't meet any of you, will sms u.

For those who wants to get Carlson wipes at JL...
I just went to Marina Sq to get the wipes. Still have a lot there. I regretted getting 6 packs and walk all the way back to City Hall. My arms are aching now... LOL.

*hi 5. I just did the same to H too! Also decided to swaddle her today and she's been asleep since 2pm.

winnie mummy
i dun wanna be guinea pig. :p Since it's not that serious an illness, why bother with a vaccine?
Carlson wipe is pretty good. Sloft and moist. only grouse is it is a bit too stretchy for my liking and a bit hard to seperate current piece from next, so a bit troublesome to pull using one hand only.

I would say my current fave is Pigeon wipe, but it's double the price of carlson.

Haha, I also went to JL at marina Square before going to the doctor's. Supposed to be on course, but bad sore throat and feverish, so letf at morning break. The husband thinks I'm weird and priorities all skewed. Buy carlson wipe more important then go see doc.....

LS, I got Naomi pierced at the wisma atria basement 1. It's called B-dazzled or something...don't get conned into buying the diamond studs. Unless you have extra money to throw. The 18K with diamond stud as little as dust cost $280 (the piercing is included). I got the 14K with crystal, coz the diamond ones I have it already standby for her when she gets into her toddler years. I bought another baby earring (hoop types) with eternity design, white gold 18K in far east plaza. so tempted to buy the pearl ones too. Then, I still have 1 set of 5 pairs of disney princess earring for her waiting...hahaha....
I heard from my gf there is one brand in US specialized in making baby jewelry in gold. And she said it's really nice with the colored gemstone bumble bee etc. Not sure what brand is that. Anybody knows?
